== Input ==
~~~
{"formula": "TbDy2Fe2B2N3", "functional": "GGA-PBE", "state": "optimized geometry", "space_group": "I4/mmm (139)", "final_energy_ev_per_cell": -80.4, "m_tot_mub_per_fu": 2.4, "lattice": [[-4.978, 1.107, 9.175], [-8.288, 2.579, 5.904], [5.794, -4.128, -7.719]], "species": ["Fe", "Fe", "N", "N", "N", "Dy", "Dy", "Tb", "B", "B"], "fractional_positions": [[0.250, 0.750, 0.500], [0.750, 0.250, 0.500], [0.500, 0.500, 0.000], [0.885, 0.885, 0.000], [0.115, 0.115, 0.000], [0.378, 0.378, 0.000], [0.622, 0.622, 0.000], [0.000, 0.000, 0.000], [0.812, 0.812, 0.000], [0.188, 0.188, 0.000]]}

----------

No. 1
A geometry-optimized Li2Cu structure. Source: the Alexandria database, functional PBEsol.

a = 4.629 Å, b = 4.629 Å, c = 4.629 Å
α = 148.07°, β = 129.33°, γ = 61.15°
Sites, in units of the cell vectors:
Li 0.160 0.160 0.000
Li 0.840 0.840 0.000
Cu 0.500 0.500 0.000

Results
ΔH_f (0 K) = 0.032 eV per atom

---

No. 2
A geometry-optimized NbSbAsBr2 structure. Source: the Alexandria database, functional PBEsol.

a = 5.283 Å, b = 5.283 Å, c = 5.428 Å
α = 90.00°, β = 90.00°, γ = 90.00°
Sites, in units of the cell vectors:
Nb 0.000 0.000 0.000
Sb 0.500 0.500 0.500
As 0.500 0.500 0.000
Br 0.000 0.500 0.500
Br 0.500 0.000 0.500

Results
Energy relative to the elements, uncorrected = 1.04 eV per atom

---

No. 3
A geometry-optimized KNb6S8 structure. Source: the Alexandria database, functional PBEsol.

a = 9.581 Å, b = 9.581 Å, c = 3.377 Å
α = 90.00°, β = 90.00°, γ = 120.00°
Sites, in units of the cell vectors:
K 0.000 0.000 0.000
Nb 0.113 0.487 0.249
Nb 0.374 0.887 0.249
Nb 0.487 0.374 0.751
Nb 0.513 0.626 0.249
Nb 0.626 0.113 0.751
Nb 0.887 0.513 0.751
S 0.058 0.713 0.252
S 0.287 0.345 0.252
S 0.333 0.667 0.749
S 0.345 0.058 0.748
S 0.655 0.942 0.252
S 0.667 0.333 0.251
S 0.713 0.655 0.748
S 0.942 0.287 0.748

Results
Energy relative to the elements, uncorrected = -1.23 eV per atom

---

VASP energy across the listed records, respectively: -0.100; -0.140; -0.293 hartree per atom.
N(E_F) across the listed records, respectively: 0.9; 8.1; 4.1 states/eV/f.u..
~~~

== Request ==
It remains to give back the lines further up up to the one that holds "120.00°", that line included.

== Here it is ==
{"formula": "TbDy2Fe2B2N3", "functional": "GGA-PBE", "state": "optimized geometry", "space_group": "I4/mmm (139)", "final_energy_ev_per_cell": -80.4, "m_tot_mub_per_fu": 2.4, "lattice": [[-4.978, 1.107, 9.175], [-8.288, 2.579, 5.904], [5.794, -4.128, -7.719]], "species": ["Fe", "Fe", "N", "N", "N", "Dy", "Dy", "Tb", "B", "B"], "fractional_positions": [[0.250, 0.750, 0.500], [0.750, 0.250, 0.500], [0.500, 0.500, 0.000], [0.885, 0.885, 0.000], [0.115, 0.115, 0.000], [0.378, 0.378, 0.000], [0.622, 0.622, 0.000], [0.000, 0.000, 0.000], [0.812, 0.812, 0.000], [0.188, 0.188, 0.000]]}

----------

No. 1
A geometry-optimized Li2Cu structure. Source: the Alexandria database, functional PBEsol.

a = 4.629 Å, b = 4.629 Å, c = 4.629 Å
α = 148.07°, β = 129.33°, γ = 61.15°
Sites, in units of the cell vectors:
Li 0.160 0.160 0.000
Li 0.840 0.840 0.000
Cu 0.500 0.500 0.000

Results
ΔH_f (0 K) = 0.032 eV per atom

---

No. 2
A geometry-optimized NbSbAsBr2 structure. Source: the Alexandria database, functional PBEsol.

a = 5.283 Å, b = 5.283 Å, c = 5.428 Å
α = 90.00°, β = 90.00°, γ = 90.00°
Sites, in units of the cell vectors:
Nb 0.000 0.000 0.000
Sb 0.500 0.500 0.500
As 0.500 0.500 0.000
Br 0.000 0.500 0.500
Br 0.500 0.000 0.500

Results
Energy relative to the elements, uncorrected = 1.04 eV per atom

---

No. 3
A geometry-optimized KNb6S8 structure. Source: the Alexandria database, functional PBEsol.

a = 9.581 Å, b = 9.581 Å, c = 3.377 Å
α = 90.00°, β = 90.00°, γ = 120.00°